This project provides a smart home REST API and represents a bridge between your private Yandex-Dialogs-skill and your MQTT broker.
It allows to control your custom smart-home devices, which are already controllable over MQTT, with simple commands like "Alisa, turn light on", "Alisa, turn off lights in kitchen", "Alisa, raise blinds", "Alisa, turn on fan", etc.
The Project provides a REST API, secured via OAuth2 JSON Web Tokens, which in turn provides an access to MQTT topics.
For ease setup, the project is also provided as a Docker image: ai91/alisamqttbridge.
To enable integration of Alisa into your IoT MQTT, you need to setup following components:
- Install/configure MQTT Broker
- Install or use some third-party JWT Auth Server
- Install Alisa.MQTT.Bridge (this project)
- Create/setup own Alisa Smart Home Skill and add it in DEV mode into your Alisa account
As soon as we need to establish communication between your home network, and outer-internets, for security purposes I would recommend to not let connect directly to your internal network with MQTT broker and Home Automation system. Though the MQTT configuration is out of scope of this project, I recommend to install a new, external, MQTT broker, and configure your internal one as a bridge:
Here is an example as I did in my case. I'm hosting a docker infrastructure on VPS:
Of course it's up to you how you configure the infrastructure: one can use DynamicDNS and host everything at home network, use no docker, etc.
The project is shipped either as a docker image, or as a Spring Boot "fat JAR". Alternatively, of course, it's possible to build and start from sources.
The REST API is served over default Spring Boot port 8080, though can be configured via configuration file, environment variable, or command line. For example see a sample configuration file.
The image: ai91/alisamqttbridge is on hub.docker.
Sample docker-compose config:
version: '3.3'
# ....
container_name: alisa_mqtt_bridge
image: ai91/alisamqttbridge:latest
- "./config/:/workspace/config/"
restart: always
# ....
The sample config
directory content can be found here.
The application can also be started as a "Spring Boot fat JAR". Downloadable from releases. You need to prepare a JRE 21, and execute following command:
java -jar alisamqttbridge.jar
Same config should be placed in the directory with jar.
The basic configuration is provided in the config/
Properties in the file are mandatory, though the file itself is optional: configuration can also be provided as a YAML file, command-line arguments, or as environment variables. Details and other options are described in the Spring Boot documentation.
For example, for troubleshooting, one can lower logging levels with environment variable LOGGING_LEVEL_ROOT=trace
By default, logging is performed to console. Optionally it's possible to configure logging to external file(s). This can be achieved by modifying
according to following documentation.
The basic configuration is responsible for communication and application itself.
Meanwhile, there is an extended configuration, which describes your smart home configuration, rules, and value mappings between your home automation system and Alisa Smart Home Skill. The extended configuration takes place in the config/devices.json.
The devices.json configuration is a bit sophisticated, therefore I provide it in the dedicated document
cd alisamqttbridge
Calculated crystals from another source follow.
/*
[1]
# Na2SiO12

A relaxed structure of Na2SiO12 (PBE, the Materials Project database).

- final energy (eV per cell) = -304.1
- DFT formation energy (eV/f.u.) = -8.58

a = 11.555 Å, b = 11.555 Å, c = 11.555 Å
α = 142.13°, β = 109.25°, γ = 83.16°
Element x y z (fractional)
Na (0.054, 0.735, 0.533)
Na (0.202, 0.235, 0.181)
Na (0.298, 0.479, 0.033)
Na (0.446, 0.979, 0.681)
Na (0.554, 0.021, 0.319)
Na (0.702, 0.521, 0.967)
Na (0.798, 0.765, 0.819)
Na (0.946, 0.265, 0.467)
Si (0.082, 0.750, 0.832)
Si (0.418, 0.250, 0.668)
Si (0.582, 0.750, 0.332)
Si (0.918, 0.250, 0.168)
O (0.028, 0.614, 0.223)
O (0.043, 0.403, 0.298)
O (0.087, 0.146, 0.787)
O (0.105, 0.903, 0.860)
O (0.109, 0.195, 0.723)
O (0.134, 0.048, 0.234)
O (0.136, 0.865, 0.078)
O (0.139, 0.283, 0.987)
O (0.141, 0.700, 0.287)
O (0.186, 0.452, 0.586)
O (0.204, 0.849, 0.487)
O (0.214, 0.635, 0.771)
O (0.286, 0.058, 0.422)
O (0.296, 0.783, 0.644)
O (0.314, 0.900, 0.266)
O (0.359, 0.646, 0.559)
O (0.361, 0.349, 0.144)
O (0.364, 0.442, 0.729)
O (0.366, 0.600, 0.914)
O (0.391, 0.114, 0.086)
O (0.395, 0.254, 0.798)
O (0.413, 0.200, 0.059)
O (0.457, 0.754, 0.360)
O (0.472, 0.695, 0.586)
O (0.528, 0.305, 0.414)
O (0.543, 0.246, 0.640)
O (0.587, 0.800, 0.941)
O (0.605, 0.746, 0.202)
O (0.609, 0.886, 0.914)
O (0.634, 0.400, 0.086)
O (0.636, 0.558, 0.271)
O (0.639, 0.651, 0.856)
O (0.641, 0.354, 0.441)
O (0.686, 0.100, 0.734)
O (0.704, 0.217, 0.356)
O (0.714, 0.942, 0.578)
O (0.786, 0.365, 0.229)
O (0.796, 0.151, 0.513)
O (0.814, 0.548, 0.414)
O (0.859, 0.300, 0.713)
O (0.861, 0.717, 0.013)
O (0.864, 0.135, 0.922)
O (0.866, 0.952, 0.766)
O (0.891, 0.805, 0.277)
O (0.895, 0.097, 0.140)
O (0.913, 0.854, 0.213)
O (0.957, 0.597, 0.702)
O (0.972, 0.386, 0.777)


[2]
# NaSi4O13

A relaxed structure of NaSi4O13 (PBE, the Materials Project database).

- final energy (eV per cell) = -443.1
- DFT formation energy (eV/f.u.) = -32.37

a = 19.523 Å, b = 19.523 Å, c = 19.523 Å
α = 157.55°, β = 157.55°, γ = 31.95°
Element x y z (fractional)
Na (0.000, 0.250, 0.750)
Na (0.000, 0.750, 0.250)
Na (0.250, 0.000, 0.250)
Na (0.750, 0.000, 0.750)
Si (0.081, 0.331, 0.162)
Si (0.081, 0.919, 0.750)
Si (0.114, 0.567, 0.547)
Si (0.331, 0.081, 0.662)
Si (0.331, 0.669, 0.250)
Si (0.433, 0.480, 0.547)
Si (0.433, 0.886, 0.953)
Si (0.480, 0.433, 0.047)
Si (0.520, 0.567, 0.953)
Si (0.567, 0.114, 0.047)
Si (0.567, 0.520, 0.453)
Si (0.669, 0.331, 0.750)
Si (0.669, 0.919, 0.338)
Si (0.886, 0.433, 0.453)
Si (0.919, 0.081, 0.250)
Si (0.919, 0.669, 0.838)
O (0.000, 0.284, 0.284)
O (0.000, 0.716, 0.716)
O (0.052, 0.468, 0.584)
O (0.061, 0.811, 0.250)
O (0.062, 0.312, 0.750)
O (0.102, 0.413, 0.334)
O (0.102, 0.768, 0.689)
O (0.109, 0.116, 0.993)
O (0.116, 0.109, 0.493)
O (0.116, 0.623, 0.007)
O (0.189, 0.939, 0.250)
O (0.232, 0.421, 0.334)
O (0.232, 0.898, 0.811)
O (0.284, 0.000, 0.784)
O (0.284, 0.500, 0.284)
O (0.304, 0.554, 0.750)
O (0.312, 0.062, 0.250)
O (0.377, 0.884, 0.493)
O (0.385, 0.468, 0.916)
O (0.413, 0.102, 0.834)
*/
gradlew bootBuildImage --imageName=ai91/alisamqttbridge:1.0
docker push ai91/alisamqttbridge:1.0
cd alisamqttbridge
gradlew build
Resulting jar will be located at alisamqttbridge\build\libs\
The project idea and devices.json rules/mappings were inspired by similar project HomeAutio.Mqtt.GoogleHome